Thursday, December 26, 2019

Bogoljub Karic on the “Ease of Doing Business” in the UAE

Entrepreneur Bogoljub Karic says now is the perfect time to expand in the United Arab Emirates, at least according to the World Bank’s Doing Business 2020 report. 

The UAE leads the Middle East as an easy place to do business in, as it ranked 16 among the 190 countries surveyed by the World Bank. It ranked the highest among the Middle East and the Arab region. While it took a dip in the rankings as it was ranked as the 11th country before, it maintained its lead among the area. 

Marked Improvements
The reforms the UAE undertook last year helped maintain its good rankings. Bogoljub Karic points out that starting a business in the UAE is made even easier since fees are reduced for business incorporation. Construction permits are also easier to get, as the UAE uses a risk-based approach. There are also other incentives—fewer inspections, easier taxes, and more comfortable trading across borders. 

The Judiciary’s Help
Another factor that contributed to the favorable ease of doing business ranking in the UAE is the training and efficiency found in the country’s judicial system. In 2019, a report indicated that the UAE’s strategy to modernize its legal system led to the “successful creation of specialized commercial courts.” Electronic case management and new insolvency regimes ease the way for businesses.

Other Important Areas
For Bogoljub Karic, other areas play a significant role, as well. Dubai ranks high in the Mercer Quality of Living Index, and that contributed to the environment. Dubai has steadily developed society, experiences, and economies in the area. These add to the desirability of the location as a great place to do business or expand on a business.

Things are steadily getting better in the UAE. UK and US businesses should have smooth transitions in making an entry in the region if they start there.

Friday, December 13, 2019

Tips from Bogoljub Karic: The UAE's limitations on selling US products

For UAE business specialist Bogoljub Karic, it’s vital that US companies who are looking to break into the market be fully aware of any limitations or restrictions when it comes to products and services. Whether it’s export goods or manufacturing facilities, the UAE places certain limits to to regulate the trade between the two countries properly.
Consider the following:
The Need for a Distributor
US companies looking to enter the market in the UAE will need to locate a local distributor or an agent. A US company needs to reach out and strike up a partnership with a local distributor who is well-informed and is a veteran of the market. As advised by Bogoljub Karic, the UAE distributor has to be someone that customers trust as well.
Tenders and Awarding Contracts
The UAE has a system that ensures full transparency in tendering and in the awarding of contracts. If a US company wishes to do work in Abu Dhabi and bid for a contract, suppliers and contractors must have an existing presence in the UAE as well as have all the right licenses for work to proceed.
There are Export Controls for the US
Another thing to remember is that US companies that are planning to distribute export goods to the UAE need to first consult with US export control agencies. According to Bogoljub Karic, the UAE has a restriction that states that US companies need to make sure whether or not they will need an export license for the UAE. They need to confirm that any re-exported goods are not sent to countries prohibited by the UAE.
It’s essential to be well aware of the different rules and laws in place to make a smooth transition in the UAE market. By staying informed, you can avoid legalities or delays that may cost a considerable amount of money to fix.

Monday, November 4, 2019

Bogoljub Karic: How Foundations and Grants Can Help Your Non-Profit Organization

~~~
Entry from OMol25: a 2-piece molecular cluster, C25H54BI2N5O9P overall (wB97M-V/def2-TZVPD).

As for the charge: +1. The energy relative to the best compared isomer or geometry (same formula, charge and spin) comes out at 66.6 kcal/mol. The HOMO energy comes out at -8.967 eV.

Geometry (Å):
C 2.5874 -5.3443 3.0192
C 2.9670 -4.3160 1.9514
O 2.7283 -3.0272 2.5197
C 2.5643 -2.0165 1.5220
C 1.0404 -2.0253 1.1965
N 0.3629 -0.8171 0.6728
O -0.8851 -1.2031 0.1144
C -1.6313 -2.2393 0.6764
C -3.0409 -2.1923 0.0370
N -3.0251 -1.8776 -1.4012
C -3.1869 -3.0639 -2.2323
C -3.1225 -2.7172 -3.7221
C -4.1726 -1.6722 -4.1257
O -1.8392 -2.2130 -4.0695
C -0.0576 0.1743 1.7269
C 1.0275 0.5278 2.7585
C -0.6478 1.5058 1.1565
C -1.8499 1.8950 2.0441
C -2.0848 3.4110 2.1190
C -2.4632 3.8854 3.5395
C -2.9655 5.3105 3.3972
O -2.3429 6.0829 2.7652
O -4.1149 5.6689 3.9825
N -0.8301 1.6546 -0.2708
B -2.1772 1.8133 -0.8155
O -2.3427 2.8111 -1.7671
O -3.2943 1.0459 -0.5148
C -4.4773 1.7960 -0.2076
C -5.2852 1.1136 0.9106
C -0.1027 0.7456 -1.1871
C 0.9770 -0.1485 -0.5363
C 2.3536 0.5883 -0.3201
I 4.0309 -0.4758 -1.3857
C 2.4873 2.0493 -0.8831
C 2.0163 3.1710 0.0428
I 4.6766 2.4937 -1.0594
P 1.3691 -1.4712 -1.8821
C 1.0766 -0.6608 -3.5267
O 0.2921 -2.7544 -1.9039
H 3.0022 -4.9763 3.9564
H 1.5008 -5.3703 3.1145
H 2.9867 -6.3253 2.7774
H 4.0313 -4.4532 1.7240
H 2.4025 -4.4653 1.0233
H 3.1238 -2.3724 0.6584
H 2.9543 -1.1107 1.9752
H 0.9257 -2.8718 0.5299
H 0.5926 -2.2395 2.1668
H -1.8121 -2.1665 1.7591
H -1.2716 -3.2615 0.5260
H -3.7178 -1.5459 0.5900
H -3.4325 -3.2150 0.1413
H -3.8711 -1.3360 -1.5444
H -4.1709 -3.5432 -2.1011
H -2.4139 -3.8171 -2.0644
H -3.3163 -3.6079 -4.3327
H -4.1295 -1.4325 -5.1887
H -5.1767 -1.9751 -3.8230
H -3.9381 -0.7426 -3.5916
H -1.9170 -1.6148 -4.8224
H -0.8339 -0.2663 2.3533
H 0.4943 1.0336 3.5676
H 1.7357 1.2740 2.4084
H 1.5045 -0.3286 3.2306
H 0.0766 2.2734 1.4642
H -1.5218 1.6193 3.0551
H -2.7394 1.2923 1.8658
H -2.7940 3.7909 1.3825
H -1.1349 3.8954 1.8844
H -1.5433 3.9692 4.1183
H -3.1874 3.2310 4.0240
H -4.4138 6.4579 3.5004
H -2.8948 2.4148 -2.4605
H -5.1375 1.8206 -1.0800
H -4.2886 2.8292 0.0827
H -6.0413 0.4441 0.5024
H -4.6465 0.4919 1.5427
H -5.7523 1.8443 1.5710
H 0.3501 1.3817 -1.9530
H -0.7936 0.1484 -1.7941
H 2.7406 0.6095 0.6923
H 2.1628 2.1668 -1.9093
H 2.4965 4.0936 -0.2772
H 0.9463 3.3254 -0.1347
H 2.2517 3.0049 1.0915
H 0.0379 -0.3679 -3.6730
H 1.6937 0.2423 -3.5160
H 1.4339 -1.3218 -4.3119
H 0.7362 -3.5275 -2.2796
C 8.3933 0.5134 -1.6234
O 7.4749 -0.2914 -1.6535
N 9.6966 0.1480 -1.7862
N 8.1847 1.8476 -1.4240
H 10.4585 0.7988 -1.7637
H 9.8863 -0.8260 -1.9354
H 7.2298 2.1306 -1.3028
H 8.9174 2.5310 -1.3952

Entry from OMol25: a 2-piece molecular cluster, C25H54F4NO3P overall (wB97M-V/def2-TZVPD).

As for the charge: 0. The HOMO energy comes out at -5.600 eV.

Geometry (Å):
C -3.7803 3.4592 0.0892
C -2.2644 3.1969 0.0211
C -1.8206 2.7714 -1.3727
C -0.2953 2.6610 -1.4723
C 0.2586 1.3008 -1.0359
C 1.3724 1.4583 -0.0095
~~~
_Back to the page_

Aside from generating donations from campaigns and benefits, I, Bogoljub Karic, also recommend that you try to find charitable foundations that provide funds and great resources for non-profits. There is a huge abundance of foundations that share the same advocacies as non-profits, which give out donations that significantly help further their social missions. But how do you get access to these funding and grants?

Basically, it is pretty much the same as how you approach individuals, so it is essential that you know what you are specifically looking for and what foundations would be interested in what you are doing therefore, you should do some research to find out the types of non-profits your target foundations, whether public or private, have supported and helped in the past, as they can be very explicit in their interests. Once you have done this, you can then move on to working on establishing relationships with those who make funding decisions.

It is worth asking for an institution’s donation criteria to see know if you are a fit, as they are often inundated with requests. Remember that there are large independent foundations which are not likely to give to smaller non-profit organizations and larger corporations that tend to have charitable objectives. There are also many charitable foundations that help and support local non-profit organizations monetarily. These institutions should be the ones you should definitely target. These are extremely approachable and often provide small non-profits with skills to help them in the long term; such as board training, negotiating, planning, grant writing, etc.

Foundations can also help grant you funds for particular things, such as a strategic planning retreat. Even if you fail to obtain funding from these sources, they usually let you know how you can improve your chances and where you went wrong, alongside information on their grant cycles and decision criteria. When it comes to trying to earn a grant, it is vital that you get the pitch right. Once you have pin-pointed out an institution that you think may grant you funds, unless you have experience, it’s worth hiring someone to help you out in writing a grant proposal if you can afford it. On the other hand, there are plenty of books to help with this and you can also keep an eye out for local grant-writing seminars.

Thursday, September 26, 2019

Bogoljub Karic: Five Tips to Master Arabic Faster

Are you trying to learn Arabic? During his first few years in the UAE, Bogoljub Karic says he also had to work very hard to learn the language. In terms of difficulty, Arabic is a Category 4, along with Mandarin and Japanese. This makes it one of the most difficult languages for English speakers to master. But learning it can be made easier with the right technique.

1.       Know that there are many types of Arabic

Over the course of your study, you might get confused when you encounter different forms of the language. The thing is, there are specific forms of Arabic used for reading and writing, and for conversations. Modern Standard Arabic (MSA) is used for writing, but the languages dialects tend to vary across different regions.

2.       Learn MSA, but…

MSA, being the form used in writing, gives you access to most of the written materials in the language, making it very handy to learn. However, if you’re trying to actually speak, it’s best to choose a specific dialect and to stick with it.

3.       Use mnemonics

Unlike French, Spanish, and German, which share many similar and related words with English, Arabic will sound very foreign. You can get around this issue by using mnemonics. One way to do this is to associate Arabic words with English words that sound the same way.

4.       Don’t overcomplicate

Arabs like poetic expressions, but if you’re learning their language, it’s best to not try to impress and just stick to simple terms and sentences. At least until you’ve become a master.

5.       Memorize phrases

Instead of focusing all your attention on individual words, memorize phrases, especially the polite ones. Bogoljub Karic says this will improve your grasp of grammar and will even give you a phrase or two handy for specific occasions, such as meeting a client.

'''
12
Properties=species:S:1:pos:R:3:forces:R:3:mulliken_charge:R:1 method="wB97M-V/def2-TZVPD" smiles="N/N=c1/nn[nH]n1O" e_homo_ev=-8.9 lumo_energy_ev=-0.12 orbital_gap_ev=8.74 relative_energy_kcal_mol=50.22 total_energy_ha=-444.1069
N 2.005840 -0.276907 0.067459 0.81 0.82 -0.25 -0.44
N 1.000579 -1.171565 -0.305941 -0.64 -1.13 -0.03 -0.38
C -0.190875 -0.774964 -0.162190 0.71 2.05 0.17 0.60
N -1.385020 -1.499829 -0.374025 0.42 -0.69 -0.10 -0.24
N -2.359665 -0.749837 -0.158585 0.77 0.08 -0.13 -0.27
N -1.945146 0.513788 0.060651 -0.62 1.75 1.09 -0.08
N -0.556910 0.603839 0.261768 -0.16 -1.49 -0.41 0.09
O -0.019350 1.601026 -0.640345 -2.41 -0.77 -0.42 -0.42
H 2.903717 -0.624546 -0.251062 -0.32 -0.28 -0.47 0.25
H 2.159748 -0.249289 1.063962 -0.70 0.02 0.59 0.22
H -2.486561 0.975531 0.805857 0.28 -0.29 -0.68 0.28
H 0.873643 1.652750 -0.367545 1.87 -0.05 0.63 0.39
'''

Mastering Arabic is no easy feat. But as with anything, it’s not enough that you work hard on learning the language, you have to be smart about it, too.

Friday, August 30, 2019

Bogoljub Karic: Do You Have to Know Arabic to Do Business in Dubai?

'''
No. 1
Below is a single C4H5N5 molecule in a non-equilibrium geometry, with properties calculated with ωB97M-V with the def2-TZVPD basis set.

Geometry as XYZ:
```
14
Properties=species:S:1:pos:R:3:forces:R:3
C -1.3855 -1.1706 -0.6924 0.75 -1.18 2.18
N -1.1429 0.2185 -0.3647 4.77 0.37 -0.82
C -1.9105 0.9089 0.4270 -0.50 0.05 1.20
N -2.5218 1.4560 1.2232 -0.90 0.82 0.50
N 0.3283 0.4058 0.0351 -1.36 0.71 -1.97
C 1.3640 0.8637 -0.7672 -0.64 -1.03 2.29
N 2.4945 0.6566 -0.1239 -0.04 0.32 -1.06
C 2.1298 0.0629 1.0168 -0.65 -0.04 1.60
N 0.8070 -0.0591 1.1649 0.59 -1.13 0.68
H -2.2639 -1.2601 -1.3038 0.03 -0.08 -0.69
H -0.4010 -1.5091 -1.0586 -1.00 -0.20 -0.60
H -1.5603 -1.7703 0.2525 0.08 0.59 -0.89
H 1.2225 1.4075 -1.6390 -0.29 0.57 -1.51
H 2.8399 -0.2107 1.8302 -0.83 0.21 -0.91
```
Positions in Å, forces in eV/Å.

Its relative energy (zero: lowest compared OMol25 entry of this formula, charge and spin) is 193.0 kJ/mol. For the highest occupied orbital energy, the calculation gives -10.417 eV. The LUMO energy is 0.7 eV. As for the strongest force on any atom: 4.850 eV/A. The HOMO-LUMO gap comes out at 11.10 eV.

Mulliken population analysis, charges in e, atoms 1 to 5: -0.79 -0.21 0.48 -0.41 0.60

***

No. 2
Below is a single C4H5N5 molecule in a non-equilibrium geometry, with properties calculated with ωB97M-V with the def2-TZVPD basis set.

Geometry as XYZ:
```
14
Properties=species:S:1:pos:R:3:forces:R:3
C 2.4310 0.5023 0.0313 -1.73 1.98 1.57
N 1.1599 -0.2178 -0.1608 -0.66 -1.31 0.19
N 1.0932 -1.5387 -0.0267 3.32 -0.67 -0.38
N -0.0696 -1.9850 0.0046 -1.18 -1.78 -0.04
C -0.9124 -0.9473 -0.0531 -0.27 1.20 0.68
C -2.2591 -0.5461 -0.0203 2.17 -0.94 0.14
C -2.2142 0.8025 0.0089 1.34 1.42 -0.63
N -0.9541 1.3571 -0.0982 0.68 -1.61 0.64
N -0.1360 0.1595 -0.0269 -2.81 3.38 -0.87
H 2.4098 0.8712 1.1646 0.66 -0.66 -2.60
H 3.3254 -0.0148 -0.3204 -0.60 -0.75 0.59
H 2.3436 1.3243 -0.6879 0.12 0.40 0.66
H -3.0822 -1.1406 0.1275 -1.64 -1.29 0.08
H -3.1351 1.3733 0.0575 0.60 0.61 -0.02
```
Positions in Å, forces in eV/Å.

Its relative energy (zero: lowest compared OMol25 entry of this formula, charge and spin) is 306.7 kJ/mol. For the highest occupied orbital energy, the calculation gives -8.675 eV. The LUMO energy is 0.7 eV. As for the strongest force on any atom: 4.483 eV/A. The HOMO-LUMO gap comes out at 9.37 eV.

Mulliken population analysis, charges in e, atoms 1 to 5: -0.69 0.44 -0.43 -0.47 0.50

***

No. 3
Below is a molecular structure, C4H5NO in a non-equilibrium geometry, with properties calculated with ωB97M-V with the def2-TZVPD basis set.

Geometry as XYZ:
```
11
Properties=species:S:1:pos:R:3:forces:R:3
N -0.2130 -0.3329 -1.1250 0.30 0.08 -0.27
C 0.3400 -0.1590 0.2019 0.09 0.00 -0.17
C 0.1040 1.1355 0.8832 0.27 0.56 -0.64
O -0.3315 0.5923 1.9783 -0.56 -0.39 0.83
C -0.3742 -0.7266 1.4442 0.44 0.16 0.21
C 0.4292 0.0744 -2.1928 -0.47 -0.27 0.15
H -1.1362 -0.7603 -1.1154 0.00 0.05 -0.05
H 1.4038 -0.4272 0.2199 -0.18 0.02 -0.03
'''

Bogoljub Karic has been working in Dubai for several years now, so he has become quite knowledgeable of what it’s like to work in the city, as well as what you need to succeed in your career. One of the questions most people looking to work in or migrate to Dubai is whether they need to learn to speak Arabic to get by. The technical answer is no.

Increasing immigrant population

Over the years, Dubai has seen its immigrant population grow, thanks to the arrival of expats and foreign workers from the West, China, South Asia, and Southeast Asia. These people have naturally brought bits of their culture and their language with them, turning Dubai into a melting pot of sorts. Because of this, there are now several languages besides Arabic being spoken in the city.

That said, there are immigrants, many of which are Chinese or from Western countries, who do not normally speak Arabic but are able to lead normal, productive lives in Dubai. Besides, thanks to globalization and the said arrival of immigrants, the city’s native population has become more familiar with the English language than ever before. You can survive, therefore, and technically speaking, even if you only know how to speak English.

The importance of learning Arabic

But if you really want to immerse yourself in the culture and atmosphere of Dubai, it would be best to familiarize yourself with the Arabic language. Some have even said that knowing the language have helped them get promoted, so if you want to get ahead in your career, learning Arabic might just give you the boost you need.

The U.S. Foreign Service Institute (FSI) ranks Arabic as a Category 5 language along with Mandarin and Japanese, which means it is exceptionally difficult for English speakers to learn. But language schools are available in the city, some of which you can attend at an affordable rate.

People who have lived in Dubai, like Bogoljub Karic, recommend getting even just a basic grasp of the Arabic language. Not only is it something new to learn, it just might help you get on your client’s good side, too.

Thursday, July 18, 2019

How to Not Offend Your Muslim Friends during Ramadan

Having lived in the United Arab Emirates (UAE) for several years now, Bogoljub Karic understands how important Ramadan is to Muslims. Because Ramadan is one of the holiest times of the year in the Islamic faith, you need to know how to behave in a manner that will not be considered offensive by Muslims.

Some behaviors you need to avoid are:

1.       Offering food or water. All Muslims, except the sick, pregnant women, and children, are expected to fast during Ramadan. Although you may think it polite or helpful, do not offer fasting Muslims your food or water, or try to give them any special treatment. Part of the challenge and consequent reward of Ramadan is being able to proceed through one’s day despite the challenges that fasting offers. That said, you’re not expected to put away your food when a Muslim enters the room. As long as you’re not overt about what you’re eating, you should be fine.
2.       Play loud music. If you’re sharing a space with Muslims, keep your music’s volume low. Muslims are expected to cut down on listening to music and watching TV during Ramadan. While you’re free to enjoy your entertainment, try to show consideration by being more discreet about it than usual. Also, your Muslim companions will need to pray throughout the day, so peace and quiet will be appreciated.
3.       Gossip about others. Gossiping is generally discouraged throughout the year, but more so during Ramadan. When you talk to your Muslim companions, talk about normal topics—do not open conversations that would lead to gossiping and bad-mouthing others.

Bogoljub Karic will tell you that the best way to establish good rapport with other people, especially those who don’t share your religion or culture, is to do your best to respect your differences.

Friday, June 28, 2019

Becoming a More Creative Entrepreneur

After having worked with numerous entrepreneurs over the years, Bogoljub Karic has come to understand the importance of creativity in business. Unfortunately, not everyone finds it easy to think outside the box. If you want to become a more creative entrepreneur, you can get started by following these steps:

·         Have a passion and be persistent about it

When you do something, you need to do it not because you have to, but because you are passionate about it. Choose a goal that you will be driven to chase. Once you’ve made your decision, be determined to pursue your goal at any cost.

·         Be ready for all-nighters

What are concepts if you can’t bring them to reality? As an entrepreneur, you will need to work harder than most people. Embrace your work because in a lot of cases, you’ll need to skip sleep for it.

·         Collaborate with others

The greater your goal, the harder it will be to reach it – especially so if you are alone. Prepare to meet a lot of people, some of whom will have skills and specializations you’ll need to make your journey easier. By working with them, you will also be able to obtain ideas for better and more innovative concepts.

·         Keep learning

Education is truly a never-ending process – you will learn from your peers, your subordinates, the people around you, and your own experiences. The more you learn, the more and the better the concepts you can formulate for your business.

·         Take a step back

Sometimes, details can be overwhelming. In the face of a problem, step back and keep your distance. This will allow you to see the big picture and put you in a position where you can readily formulate creative decisions.

Bogoljub Karic understands that creativity is not developed overnight. Therefore, try to practice these steps as regularly as you can if you want to improve.

Friday, June 21, 2019

Bogoljub Karic’s Guide to Ramadan 2019

If you are like me, Bogoljub Karic, who is currently staying and conducting in the United Arab Emirates, then Ramadan is one of the holidays that you should keep in mind. If you are looking for an easy-to-follow guide about this holiday, then you have come to the right place! I, Bogoljub Karic, have listed down everything you need to know about Ramadan 2019.

When is Ramadan held in the U.A.E.?
The sighting of the crescent moon with the naked eye usually marks the first day of the Ramadan and is the ninth month of the Islamic calendar. This year, it is predicted to fall on May 6 which is a Monday.

What is it all about?
This holiday is regarded by the Muslims as the best month of their year especially because it was the month which Prophet Mohammad received the revelation of the Quran. Ramadan is also regarded as one of the “Five Pillars of Islam”, which are the five basic mandatory acts and foundation of the life of the Muslims. Fasting (Sawm) from dawn to dusk is practiced, which lasts 29-30 days depending on the sightings of the crescent moon.

Is there a special greeting used?
During Ramadan, Muslims greet people by saying “Ramadan Kareem” which translates to “Happy Ramadan”. However, for non-Muslims like me, Bogoljub Karic, saying this greeting is not expected.

 When can Muslims break their fast?
Fasting may be broken at sunset before Maghrib prayers after the call for prayers. Traditionally, dates are the first food to be eaten each evening, and the fast-breaking meal is called the Iftar.

What is after Ramadan?
After the last day of Ramadan, Eid Al Fitr is observed. This is the annual three-day celebration and also considered a public holiday.

Basic Ramadan Etiquette
Although non-Muslims like me, Bogoljub Karic, are not expected to fast during Ramadan, it is important that you show respect and follow daily basic etiquette. You should not eat, drink, and smoke during the fasting hours. You are also not allowed to engage in a public display of affection, sinful speech or behavior. Do not dance or play music in public. Always wear appropriate clothing; sleeveless tops are not allowed for men, while women are expected to cover their shoulders and knees.